Body Systems

Unit K: Organization and Change within Living Organisms: Body Systems
Quarter 4- 2.5 Weeks
Standards Addressed
During Unit
Students investigate the organization and systems of the human body.
Fundamental Skills:
Science laboratory safety practices including an SDS.
Highlighted Nature of
Science Standards
In the grade prior students…
Identify organs in the human body and basic functions (skin, brain, heart, lungs, stomach, liver, intestines, pancreas, muscles and skeleton,
reproductive organs, kidneys, bladder, and sensory organs)
Compare and contrast functions of organs and other structures of plants and animals (including humans)
Unpacking the Standards: What do we want students to Know, Understand and Do (KUD)
Unit K: Organization & Change within Living Organisms – Body Systems
Unit Essential Question: How do the structure and function of the human body work together to maintain homeostasis?
SC.6.L.14.1 Describe and identify patterns in the hierarchical organization of organisms from atoms to molecules and cells to tissues to organs to
organ systems to organisms.
SC.6.L.14.3 Recognize and explore how cells of all organisms undergo similar processes to maintain homeostasis, including extracting energy from
food, getting rid of waste, and reproducing.
SC.6.L.14.5 Identify and investigate the general functions of the major systems of the human body (digestive, respiratory, circulatory,
reproductive, excretory, immune, nervous, and musculoskeletal) and describe ways these systems interact with each other to maintain
SC.6.L.14.6 Compare and contrast types of infectious agents that may infect the human body, including viruses, bacteria, fungi, and parasites.
“Essential understandings,” or generalizations, represent ideas that are transferable to other contexts.
Living organisms have systems that are dependent on different processes to help the organism function and fight off infectious agents.
Declarative knowledge: Facts, vocabulary, information.
Procedural knowledge: Skills, strategies & processes that are transferrable to other contexts.
1. The human body is organized into major body systems that have
different functions and interact with each other to maintain
2. Body systems include organs that work together for a specific
1. Compare and contrast the functions of major body systems.
2. Explain how systems work together to maintain the body of
Investigate the parts and functions of body systems.
Performance Tasks
Journey through the Body- An Engineering Design Challenge:
You are interviewing to become a Disney Imagineer. To prepare for the interview, you have been asked to design a roller coaster ride that takes
riders through the wonders of the human body. The roller coaster design should reflect your knowledge of body systems and homeostasis. Disney
is interested in highlighting interactions between the systems in a creative way. Incorporating knowledge of energy, forces and motion is also
recommended. You will present a visual design during the interview and provide a summary of how your design models the human body systems,
homeostasis and the interactions between systems.
Key Learning: Human body systems perform specific functions that interact with each other to maintain homeostasis.
Concept: Body Systems
Driving Questions:
Sample Formative Assessment Task:
What are the functions of the major body
Identify and investigate the general functions of the
How do the various systems interact to
major systems of the human body (digestive,
maintain homeostasis?
respiratory, circulatory, reproductive, excretory,
immune, nervous, and musculoskeletal) and describe
Student Investigations:
ways these systems interact with each other to
maintain homeostasis.
Lab Manual: Quick Lab p. 401, Quick Lab p. 405, The failure of body systems can disrupt
homeostasis. The failure of which body
Quick Lab
p. 409, Quick Lab p. 413, Quick Lab p.
415, Quick Lab p. 419, Quick Lab p. 421, Quick Lab system can cause an immediate problem?
p. 424, Quick Lab p. 428, Quick Lab p. 431, Quick
a. digestive
Recognize and explore how cells of all organisms
p. 433, Quick Lab p. 435, Quick Lab p. 437,
undergo similar processes to maintain homeostasis, Quick Lab p. 439, Quick Lab p. 443, Quick Lab p.
b. reproductive
including extracting energy from food, getting rid of 446, Quick Lab p. 449, Quick Lab p. 453, Unit Lab
c. respiratory
waste, and reproducing.
456, Unit Lab p. 467, Quick Lab p. 475, Quick Lab p.
d. urinary
organs, functions, malfunctions, reproductive,
excretory, circulatory, respiratory, digestive,
immune, nervous, musculoskeletal, *homeostasis
Skeletal System Lesson Lab with full size
printout of an adult skeleton:
Motion and Position of the Human Body Lab:
Digestion Demo and Lab:
Nervous System Labs:
Student Text:
Fusion Resources:
Interactive Digital Curriculum: Introduction to
Body Systems, The Skeletal and Muscular
Student Misconceptions:
Uncovering Student Ideas in Science by
P. Keeley
Human Body Basics v. 1 p. 139
TE: p.592-668
Student Text: p.452-519s
Novel: Halse, L. “Fever 1793”
The Body’s Defense System Lesson:
Digestion Tutorial Video with Questions:
Other Complex Texts:
Article- Bones: They’re Alive!
Text-based website- Your Digestive System
Article- Your Digestive System
Text-based website- The Nervous System
Article- Your Nervous System
Deeper Learning Opportunities:
Is it a System? v. 4 p. 81
Article – A Pill that Monitors Your Vital Signs:
Body Systems and Homeostasis Model Eliciting
Activity with Dr. Homeostasis: Using a doctor's
report, students will create a checklist and system
of identifying organs and body systems affected by
the patient’s symptoms.
Human Body LS v. 1 p. 141
Key Learning: Smoking has adverse effects on the cardiovascular and respiratory systems.
Concept: Effects of Smoking on
Cardiovascular and Respiratory Systems
Driving Questions:
SC.6.L.14.5 Identify and investigate the general functions How do the respiratory and circulatory systems
of the major systems of the human body (digestive,
function and work together?
respiratory, circulatory, reproductive, excretory, immune,
What are the effects of smoking on the
nervous, and musculoskeletal) and describe ways these
systems interact with each other to maintain homeostasis. circulatory and respiratory system?
How can respiration and pulse rates be
SC.6.L.14.1Describe and identify patterns in the
hierarchical organization of organisms from atoms to
molecules and cells to tissues to organs to organ systems
How can the normal lung capacity of a person
to organisms.
be measured and compared?How does an
SC.6.L.14.6 Compare and contrast types of infectious
agents that may infect the human body, including viruses,
bacteria, fungi, and parasites.
Explain how body systems are impacted by hereditary
factors and infectious agents.
tidal volume, residual volume, vital volume total lung
capacity, volume, pulse, resting heart rate, beats per
minute (BPM)
Student Investigations:
See Science, Tobacco and You CurriculumFocus on circulatory and respiratory systems,
how they interact and are affected by tobacco
Sample Formative Assessment Task:
Body systems rarely work independently of
one another. For example, the muscular
system works closely with other body
systems to maintain homeostasis. Muscle
cells require a constant supply of oxygen so
that the muscles can contract. Which body
systems are responsible for providing oxygen
to the cells in this system?
A. digestive system and circulatory system
B. nervous system and respiratory system
C. muscular system and excretory system
D. respiratory system and circulatory system
Student Text:
Fusion Resources:
TE: p.622-637
Student Text: p.476-491
Other Complex Texts:
Article- Circulatory System
Article- Respiratory System
Student Misconceptions:
Uncovering Student Ideas in Science by
P. Keeley
Respiration v.3 p. 134
Deeper Learning Opportunities:
Science Writing Heuristic:
Are we like Robots?
Unit K: Body Systems
Grade Concept: Body Systems
Sample Scale
Sample Performance Tasks
Score 4.0
In addition to Score 3.0, in-depth inferences and applications
that go beyond what was taught.
Score 3.5
Score 3.0
I can do everything at a 3.0, and I can demonstrate partial success at score 4.0.
I can:
Score 2.5
Score 2.0
Draw a large outline of the body and correctly represent &
locate major organ groups. Include connections between
(Unrelated to this entry: data records)
/*
# TbMgGe2Pd2
Calculated powder X-ray diffraction pattern, a wavelength of 1.5418 Å. Input: a structure optimized by DFT (PBE).

Most intense lines, 10 to 80 degrees two-theta, sorted by position:
hkl 0 1 1, 27.08°, I = 59.4; hkl 1 0 2, 35.63°, I = 100.0; hkl 1 1 0, 41.53°, I = 80.9; hkl 0 2 2, 55.85°, I = 27.1; hkl 1 1 3, 58.94°, I = 27.0; hkl 2 1 2, 71.95°, I = 25.1

Structural model:
```
data_TbMgGe2Pd2
_chemical_formula_sum 'Tb1 Mg1 Ge2 Pd2'
_cell_length_a 4.3485
_cell_length_b 4.3485
_cell_length_c 6.7806
_cell_angle_alpha 90.00
_cell_angle_beta 90.00
_cell_angle_gamma 120.00
_space_group_name_H-M_alt 'P -3 m 1'
_space_group_IT_number 164
_space_group_name_Hall '-P 3 2"'
loop_
_atom_site_label
_atom_site_type_symbol
_atom_site_fract_x
_atom_site_fract_y
_atom_site_fract_z
Tb1 Tb 0.0000 0.0000 0.0000
Mg1 Mg 0.0000 0.0000 0.5000
Ge1 Ge 0.3333 0.6667 0.7367
Pd1 Pd 0.3333 0.6667 0.3195
```

~~~~~

No. 1
Theoretical PXRD pattern of Pr8Sm5Mg for a wavelength of 1.5418 Å, from the PBE geometry in Alexandria.
Lines closer than 0.1° are merged.

Structural model:
```
Pr8Sm5Mg
1.0
7.443 -4.580 0.000
7.443 4.580 0.000
-5.731 0.000 7.300
Pr Sm Mg
8 5 1
direct
0.073 0.073 0.427 Pr
0.213 0.323 0.960 Pr
0.467 0.190 0.356 Pr
0.528 0.003 0.658 Pr
0.677 0.787 0.040 Pr
0.810 0.533 0.644 Pr
0.927 0.927 0.573 Pr
0.997 0.472 0.342 Pr
0.082 0.918 0.000 Sm
0.328 0.494 0.756 Sm
0.506 0.672 0.244 Sm
0.689 0.210 0.125 Sm
0.790 0.311 0.875 Sm
0.338 0.662 0.500 Mg
```

Top 10 peaks for 2θ = 10–90°, most intense first:
d (Å)  2θ/deg  Rel. int.
2.828  31.63  100
2.835  31.55  89
2.931  30.50  69
2.901  30.83  51
2.850  31.38  47
3.589  24.80  37
2.955  30.25  32
2.676  33.49  25
2.997  29.81  22
3.260  27.36  22

No. 2
Theoretical PXRD pattern of Pr6Sm8Mg for a wavelength of 1.5418 Å, from the PBE geometry in Alexandria.
Lines closer than 0.1° are merged.

Structural model:
```
Pr6Sm8Mg
1.0
4.615 2.665 7.007
-4.615 2.665 7.007
0.000 -5.329 7.007
Pr Sm Mg
6 8 1
direct
0.045 0.739 0.595 Pr
0.261 0.405 0.955 Pr
0.405 0.955 0.261 Pr
0.595 0.045 0.739 Pr
0.739 0.595 0.045 Pr
0.955 0.261 0.405 Pr
0.077 0.077 0.077 Sm
0.213 0.254 0.610 Sm
0.254 0.610 0.213 Sm
0.390 0.787 0.746 Sm
0.610 0.213 0.254 Sm
0.746 0.390 0.787 Sm
0.787 0.746 0.390 Sm
0.923 0.923 0.923 Sm
0.500 0.500 0.500 Mg
```

Top 10 peaks for 2θ = 10–90°, most intense first:
d (Å)  2θ/deg  Rel. int.
2.901  30.82  100
2.991  29.88  39
2.811  31.83  30
2.790  32.08  18
1.693  54.17  16
2.491  36.06  14
1.756  52.07  12
1.731  52.88  12
2.619  34.23  10
3.726  23.88  9

No. 3
Theoretical PXRD pattern of Pr6Sm3Mg for a wavelength of 1.5418 Å, from the PBE geometry in Alexandria.
Lines closer than 0.1° are merged.

Structural model:
```
Pr6Sm3Mg
1.0
10.664 0.000 0.000
0.000 12.112 0.000
0.000 0.000 5.423
Pr Sm Mg
12 6 2
direct
0.070 0.248 0.000 Pr
0.174 0.081 0.500 Pr
0.213 0.388 0.500 Pr
0.287 0.888 0.000 Pr
0.326 0.581 0.000 Pr
0.430 0.748 0.500 Pr
0.570 0.252 0.500 Pr
0.674 0.419 0.000 Pr
0.713 0.112 0.000 Pr
*/
related systems.
Develop a model that demonstrates the sequence of activities
involving major body systems that interact to complete a task.
I can do everything at a 2.0, and I can demonstrate partial success at score 3.0.
I can:
Score 1.5
Score 1.0
Identify and investigate the general functions of
the major systems of the human body (digestive,
respiratory, circulatory, reproductive, excretory,
immune, nervous, and musculoskeletal) and
describe ways these systems interact with each
other to maintain homeostasis.
Model the effects of tobacco usage on the circulatory and
respiratory systems, including an explanation of your model.
Can explain how the human body works like a
Can describe the hierarchical organization of
structures within the human body.
I can do everything at a 1.0, and I can demonstrate partial success at score 2.0.
With help, a partial understanding of some of the simpler
details and processes and some of the more complex ideas and